§ 2.3.2. Site Generated Traffic  

Latest version.
  • The following procedures are accepted practice in transportation planning and should be addressed in each report: trip generation, trip distribution and traffic assignment.


    Trip Generation.

[Between two parts of the article: crystal structures]
=====
(1)
Theoretical powder diffractogram of PrB2N3 for a wavelength of 1.5418 Å, from a DFT-relaxed cell (GGA-PBE, Alexandria).
Neutral-atom scattering factors, no anomalous dispersion.

Atomic structure:
```
PrB2N3
1.0
5.780 0.000 0.000
0.000 8.331 0.000
0.000 0.000 3.863
Pr B N
2 4 6
Direct
0.250 0.250 0.249 Pr
0.750 0.750 0.751 Pr
0.250 0.588 0.749 B
0.250 0.912 0.749 B
0.750 0.088 0.251 B
0.750 0.412 0.251 B
0.250 0.069 0.749 N
0.250 0.431 0.749 N
0.250 0.750 0.750 N
0.750 0.250 0.250 N
0.750 0.569 0.251 N
0.750 0.931 0.251 N
```

Most intense lines, 2θ = 5–70°, most intense first:
2θ/deg, I/Imax
18.7, 100
25.4, 69
35.3, 58
40.5, 39
21.3, 37
30.9, 35
40.0, 24
51.4, 22
37.9, 17
35.9, 16
52.4, 16
51.0, 15

(2)
Theoretical powder diffractogram of PrB2N2 for a wavelength of 1.5418 Å, from a DFT-relaxed cell (GGA-PBE, Alexandria).
Neutral-atom scattering factors, no anomalous dispersion.

Atomic structure:
```
PrB2N2
1.0
4.821 0.000 0.000
-2.411 4.175 0.000
0.000 0.000 2.809
Pr B N
1 2 2
Direct
0.000 0.000 0.000 Pr
0.333 0.667 0.500 B
0.667 0.333 0.500 B
0.333 0.667 0.000 N
0.667 0.333 0.000 N
```

Most intense lines, 2θ = 5–70°, most intense first:
2θ/deg, I/Imax
21.3, 100
37.3, 59
38.6, 59
49.8, 35
68.2, 23
54.8, 22
31.9, 21
43.3, 17
58.5, 15
67.3, 9
66.6, 3

(3)
Theoretical powder diffractogram of Pr3TmB2N6 for a wavelength of 1.5418 Å, from a DFT-relaxed cell (GGA-PBE, Alexandria).
Neutral-atom scattering factors, no anomalous dispersion.

Atomic structure:
```
Pr3TmB2N6
1.0
5.617 0.000 0.000
-2.809 4.865 0.000
0.000 0.000 6.372
Pr Tm B N
3 1 2 6
Direct
0.000 0.000 0.000 Pr
0.333 0.667 0.663 Pr
0.667 0.333 0.337 Pr
0.000 0.000 0.500 Tm
0.333 0.667 0.252 B
0.667 0.333 0.748 B
0.184 0.368 0.278 N
0.184 0.816 0.278 N
0.368 0.184 0.722 N
0.632 0.816 0.278 N
0.816 0.184 0.722 N
0.816 0.632 0.722 N
```

Most intense lines, 2θ = 5–70°, most intense first:
2θ/deg, I/Imax
31.9, 100
33.6, 95
47.0, 45
57.9, 38
23.0, 37
18.2, 30
13.9, 26
39.7, 23
56.8, 19
61.2, 17
66.6, 15
34.9, 13

(4)
Theoretical powder diffractogram of Pr3VB2N6 for a wavelength of 1.5418 Å, from a DFT-relaxed cell (GGA-PBE, Alexandria).
Neutral-atom scattering factors, no anomalous dispersion.

Atomic structure:
```
Pr3VB2N6
1.0
5.419 0.000 0.000
-2.710 4.693 0.000
0.000 0.000 6.237
Pr V B N
3 1 2 6
Direct
0.000 0.000 0.000 Pr
0.333 0.667 0.667 Pr
0.667 0.333 0.333 Pr
0.000 0.000 0.500 V
0.333 0.667 0.266 B
0.667 0.333 0.734 B
0.178 0.357 0.296 N
0.178 0.822 0.296 N
0.357 0.178 0.704 N
0.643 0.822 0.296 N
0.822 0.178 0.704 N
0.822 0.643 0.704 N
```

Most intense lines, 2θ = 5–70°, most intense first:
2θ/deg, I/Imax
23.7, 100
33.1, 87
34.5, 77
41.1, 44
48.6, 40
60.0, 30
53.7, 25
55.7, 24
59.0, 16
69.4, 14
62.8, 13
43.5, 12

(5)
Theoretical powder diffractogram of Pu3BN5 for a wavelength of 1.5418 Å, from a DFT-relaxed cell (GGA-PBE, Alexandria).
Neutral-atom scattering factors, no anomalous dispersion.

Atomic structure:
```
Pu3BN5
1.0
-3.180 3.180 5.085
3.180 -3.180 5.085
=====

    Trip generation shall be based upon the proposed land use and density. A.M. peak, P.M. peak and total daily site-generated traffic must be calculated using an independent variable or determinant which has been confirmed by the transportation planner before the TIA is prepared. The applicant must identify and justify the applicability of the trip rates used. Gross square footage is the usually accepted determinant for office and gross leasable square footage is the usually accepted determinant for retail projects. The number of dwelling units is the most often accepted determinant for residential uses. A table of proposed land uses must also be included in each TIA report for review.

    Trip generation rates shall be adopted from the references listed below. The second and third references may be used only when the information is not available in the first reference. If none of these sources contains appropriate trip rates for the proposed land use, other sources may be used at the discretion of the Director of the Watershed Protection and Development Review Department, if adequately documented.


    Trip Generation: An Informational Report , most recent edition, Institute of Transportation Engineers, 109 14th St., NW, Suite 300 W, Washington DC, 20005-3438.


    Travel Estimation Techniques for Urban Planning , NCHRP Report 365. Transportation Research Board, national Academy of Science, 500 Fifth St., NW, Washington DC.


    San Diego Traffic Generators , San Diego Association of Governments and CALTRANS District 11, January 1990.

    Average weekday trip rates shall be used in estimating total daily trips generated unless otherwise indicated by staff in defining the scope of study. Weekend or other trip rates shall also be required if the peak hour does not occur on an average weekday. The average trip rate for peak hour of adjacent street traffic shall be used to estimate A.M./P.M. peak hour traffic entering and exiting the site. Guidelines in the Trip Generation manual shall be used for determining whether to use average trip rates or equations.

    If the TIA is filed in conjunction with a site plan review, trip generation shall be based upon the uses and intensities identified on the site plan. If a site plan is not available, trip generation shall be based upon the maximum allowable density for the most intensive use. In such cases, the trip generation rates listed in Table 2-1 shall be applied, unless the applicant is willing to accept a density limitation as a condition of zoning or can document the fact that flood plains, watershed ordinance restrictions, compatibility standards or other factors limit the developable area of the site.

    The rates provided in Table 2-1 are based on the maximum buildout allowed for each zoning category. The trip rates assume the most permissive land use, the maximum floor area ratio, the maximum building height and structure parking. For residential categories, the trips per acre are based on the number of units that are allowed for each zoning category.

    Reductions for internal capture, pass-by traffic and transit usage should be discussed with the staff in defining the scope of study and must be supported by adequate documentation. No reductions in trip rates may be made for driveway turning movements unless it can be documented that certain trips will not use the driveway. Guidelines contained in the Trip Generation manual or other approved sources shall be used to document internal capture and pass-by trips.


    Trip Distribution.

    Percentages for directional distribution of the site generated traffic must be well referenced. The basis for directional attraction shall largely rely on the following information:

    Marketing Study

    Subarea Transportation Study

    City or State Travel Demand Estimation

    If the above information is not available, a traffic study for determining directional attraction is required to address the area that is surrounded by the nearest arterial streets. The traffic study must be consistent with the procedures established for calculating trip distribution in Quick-Response Urban Travel Estimation Techniques and Transferable Parameters, NCHRP 187. , Transportation Research Board.

    TABLE 2-1

    Residential Development
    Maximum Units/Acre Most intense Use (ITE Code) Trip Rate/Unit Trip Rate/Acre
    LA 1.0 SF (210) 9.55 10
    RR 1.0 SF (210) 9.55 10
    SF-1 4.36 SF (210) 9.55 42
    SF-2 7.58 SF (210) 9.55 72
    SF-3 12.44 Duplex (NCHRP) 7.0 87
    SF-4 12.1 SF (210) 9.55 116
    SF-5 12.44 Duplex (NCHRP) 7.0 87
    SF-6 12.44 Duplex (NCHRP) 7.0 87
    MF-1 17.4 Low-rise (221) 6.6 115
    MF-2 27.2 Low-rise (221) 6.6 180
    MF-3 36.3 Low-rise (221) 6.6 240
    MF-4 54.4 Hi-rise (222) 4.2 220
    MF-5 54.4 Hi-rise (222) 4.2 220
    MF-6 * Hi-rise (222) 4.2 *
    MH 9.68 MH (240) 4.8 46


    TABLE 2-1 (Continued)
    Commercial and Industrial Development
    Zoning Permitted Intensity Far Maximum s.f./Ac. Most Intense Use (ITE Code) Trip Rate/1000 s.f. Trip Rate/Ac.
    NO .35 15.246 Gen off (710) # #
    LO .70 30,492 Med off (720) 34.17 1042
    GO 1.0 43,560 Med off (720) 34.17 1488
    CR .25 10,890 * * *
    LR .5 21,780 Retail (820) # #
    GR 1.0 43,560 Retail (820) # #
    L 8.0 348,480 * * *
    CBD 8.0 348,480 * * *
    DMU 5.0 217,800 * * *
    W/LO .25 10,890 Gen off (710) # #
    CS. CS-1 2.0 87,120 Retail (820) # #
    CH 3.0 130,680 Retail (820) # #
    IP 1.0 43,560 Med off (720) 34.17 1488
    MI 1.0 43,560 Med off (720) 34.17 1488
    LI 1.0 43,560 Retail (820) # #
    R&D .35 15,246 Med off (720) 34.17 521
    * Trip rate to be determined on basis of proposed uses.
    # Rate varies with acreage or building square footage.
    Source: Institute of Transportation Engineers, Trip Generation , 5th Edition (1991). Transportation Research Board, Quick Response Urban Travel Estimation Techniques and Transferable Parameters (1978)



    Traffic Assignment.

    This is the assignment of site generated traffic according to the percentages of distribution determined in the previous step. Traffic assignments shall be clearly illustrated with roadway and intersection geometry. The proposed roadway network shall conform to the Roadway Plan or other approved design by the Transportation Review Section.